# Assignment
Please find the line further down that holds "-1.775431 3.074377", then echo that line and all lines after it there.
# Data
- - -
# 1
Formula: C37H39IN3O5RbS5
Source: OMol25
Level of theory: the ωB97M-V functional and the def2-TZVPD basis

## Properties
Net charge: -2
Calculated total energy in a.u.: -4286.59883
HOMO in eV: -2.7
LUMO level in hartree: 0.1315

The geometry in XYZ format:
```
91
Properties=species:S:1:pos:R:3:forces:R:3
Rb 0.134974 -1.464652 -1.238764 -0.15 -0.23 -0.01
C -0.441726 -0.435735 2.613813 0.48 -1.44 0.51
C -0.712642 -1.938029 2.955384 -0.75 0.65 -0.73
S -2.464543 -2.250793 3.425325 0.22 -0.51 -0.71
C -2.370849 -1.778967 5.130924 -0.14 -0.14 0.87
C -3.651474 -1.132586 5.657235 0.36 0.09 2.50
S -4.297792 0.397137 4.971449 0.51 0.31 -0.33
C -2.765376 1.384470 5.154042 0.56 -1.36 0.14
C -2.898227 2.828224 4.713669 -0.45 -0.58 -0.56
S -2.802432 2.957261 2.881751 0.16 0.54 0.35
C -1.009085 2.702314 2.585448 -0.61 0.39 0.13
C -0.768008 1.887074 1.342891 0.53 -0.80 -0.74
S -1.566286 0.208737 1.361020 0.74 0.82 0.18
H 0.616446 -0.288649 2.350628 -0.28 -0.21 -0.37
H -0.541980 0.128533 3.532318 -0.25 0.17 0.29
H -0.107767 -2.298993 3.770223 0.41 0.08 0.31
H -0.527177 -2.618366 2.120214 0.04 0.23 -0.11
H -1.569890 -1.078577 5.169081 0.66 0.71 0.27
H -2.055564 -2.601549 5.828090 -0.51 0.43 -0.66
H -3.530173 -0.959084 6.795512 0.09 -0.20 -1.57
H -4.457368 -1.839811 5.629465 -0.58 -0.41 -0.32
H -2.007672 0.852470 4.551741 -0.35 0.46 0.07
H -2.416993 1.232585 6.192091 -0.27 0.49 -0.13
H -2.170690 3.439216 5.259083 -0.23 0.17 -0.34
H -3.932354 3.136678 4.907236 0.32 0.38 0.26
H -0.692305 2.186705 3.472083 0.63 -0.08 0.38
H -0.512280 3.681848 2.488646 -0.09 -0.44 0.18
H 0.331108 1.747777 1.117259 -1.09 0.20 0.29
H -1.222558 2.418207 0.512107 0.01 -0.05 -0.39
C -0.370573 -0.038213 -5.491648 -0.38 -0.22 1.89
C -0.696090 1.103399 -4.528937 -0.47 -0.98 -0.25
N -0.329479 2.356678 -4.731876 0.97 -1.25 -1.32
C -0.760874 3.293846 -3.943995 -2.33 0.48 2.30
C -1.775431 3.074377 -2.970718 -0.20 -1.25 -0.39
C -2.444706 4.208533 -2.295728 0.03 1.02 -0.87
O -3.612518 4.743848 -3.001296 3.56 2.97 0.43
C -2.253577 1.768179 -2.743930 1.22 -0.24 -1.50
C -3.477559 1.454088 -1.973187 0.91 1.41 0.88
N -4.428196 0.677849 -2.267117 0.12 -0.44 1.11
C -4.399039 -0.083845 -3.411408 -0.70 0.30 -1.28
C -4.500488 0.585904 -4.627674 0.23 1.24 -0.83
C -4.742494 -0.077364 -5.814897 0.19 0.25 0.41
C -4.883317 -1.458386 -5.803725 0.47 0.32 -0.48
C -4.702534 -2.171948 -4.616090 0.49 -1.36 -0.98
C -4.471161 -1.470590 -3.419185 -0.39 -0.71 -0.44
I -4.252987 -2.402112 -1.581222 0.08 -0.34 0.02
C -1.548162 0.707966 -3.466031 -1.69 -0.31 2.20
O -1.793578 -0.503584 -3.107041 0.89 0.53 -0.88
H 0.140714 0.400533 -6.311723 0.69 -0.11 -0.88
H 0.177539 -0.841818 -4.922787 -0.09 0.82 -0.82
H -1.309495 -0.547370 -5.779485 0.31 0.39 -0.08
H -0.492590 4.317225 -4.073068 0.59 0.62 -0.42
H -2.785013 3.978274 -1.316281 -0.05 -0.37 1.03
H -1.664692 4.976055 -2.211466 -0.67 0.43 -0.09
H -4.234041 4.095660 -3.075653 -2.51 -3.00 -0.24
H -3.596456 2.031443 -1.021996 -0.12 -0.36 -0.69
H -4.330250 1.690644 -4.714291 -0.27 -1.09 0.55
H -4.729862 0.534089 -6.716201 -0.23 -0.43 -0.04
H -4.975622 -1.927750 -6.784903 -0.13 -0.35 0.47
H -4.603656 -3.313335 -4.817236 -0.37 2.06 1.29
O 2.635207 -1.882472 1.087457 -1.33 -1.51 -0.24
C 3.531679 -0.879390 0.758364 0.03 0.48 -0.02
C 2.603837 0.458583 0.682748 -0.29 -0.96 0.30
O 2.636976 1.268455 1.623293 0.24 -0.12 -0.38
O 1.796849 0.405398 -0.287959 0.49 0.42 0.50
C 4.595664 -0.869753 1.872138 -1.21 0.85 -0.34
C 5.618769 0.055237 1.774128 -0.59 -1.25 0.52
C 6.553552 0.142965 2.751369 1.31 0.08 0.06
C 6.502896 -0.666309 3.858871 1.55 -0.66 1.37
C 5.445702 -1.538615 4.001549 -0.35 0.26 -0.70
C 4.459565 -1.638587 3.020782 -0.81 -0.27 0.04
C 4.185206 -1.161375 -0.589375 0.57 1.01 1.38
C 4.929129 -2.319375 -0.712758 -1.14 -1.80 0.18
C 5.668314 -2.574430 -1.837963 1.29 -0.67 -0.01
C 5.870517 -1.564258 -2.747408 0.57 0.44 -1.00
C 5.219633 -0.354507 -2.589179 -1.03 0.33 -0.35
C 4.322445 -0.165803 -1.528516 0.41 1.32 -0.96
H 2.713627 -2.687868 0.516753 -0.13 0.41 0.35
- - -
# Solution
C -1.775431 3.074377 -2.970718 -0.20 -1.25 -0.39
C -2.444706 4.208533 -2.295728 0.03 1.02 -0.87
O -3.612518 4.743848 -3.001296 3.56 2.97 0.43
C -2.253577 1.768179 -2.743930 1.22 -0.24 -1.50
C -3.477559 1.454088 -1.973187 0.91 1.41 0.88
N -4.428196 0.677849 -2.267117 0.12 -0.44 1.11
C -4.399039 -0.083845 -3.411408 -0.70 0.30 -1.28
C -4.500488 0.585904 -4.627674 0.23 1.24 -0.83
C -4.742494 -0.077364 -5.814897 0.19 0.25 0.41
C -4.883317 -1.458386 -5.803725 0.47 0.32 -0.48
C -4.702534 -2.171948 -4.616090 0.49 -1.36 -0.98
C -4.471161 -1.470590 -3.419185 -0.39 -0.71 -0.44
I -4.252987 -2.402112 -1.581222 0.08 -0.34 0.02
C -1.548162 0.707966 -3.466031 -1.69 -0.31 2.20
O -1.793578 -0.503584 -3.107041 0.89 0.53 -0.88
H 0.140714 0.400533 -6.311723 0.69 -0.11 -0.88
H 0.177539 -0.841818 -4.922787 -0.09 0.82 -0.82
H -1.309495 -0.547370 -5.779485 0.31 0.39 -0.08
H -0.492590 4.317225 -4.073068 0.59 0.62 -0.42
H -2.785013 3.978274 -1.316281 -0.05 -0.37 1.03
H -1.664692 4.976055 -2.211466 -0.67 0.43 -0.09
H -4.234041 4.095660 -3.075653 -2.51 -3.00 -0.24
H -3.596456 2.031443 -1.021996 -0.12 -0.36 -0.69
H -4.330250 1.690644 -4.714291 -0.27 -1.09 0.55
H -4.729862 0.534089 -6.716201 -0.23 -0.43 -0.04
H -4.975622 -1.927750 -6.784903 -0.13 -0.35 0.47
H -4.603656 -3.313335 -4.817236 -0.37 2.06 1.29
O 2.635207 -1.882472 1.087457 -1.33 -1.51 -0.24
C 3.531679 -0.879390 0.758364 0.03 0.48 -0.02
C 2.603837 0.458583 0.682748 -0.29 -0.96 0.30
O 2.636976 1.268455 1.623293 0.24 -0.12 -0.38
O 1.796849 0.405398 -0.287959 0.49 0.42 0.50
C 4.595664 -0.869753 1.872138 -1.21 0.85 -0.34
C 5.618769 0.055237 1.774128 -0.59 -1.25 0.52
C 6.553552 0.142965 2.751369 1.31 0.08 0.06
C 6.502896 -0.666309 3.858871 1.55 -0.66 1.37
C 5.445702 -1.538615 4.001549 -0.35 0.26 -0.70
C 4.459565 -1.638587 3.020782 -0.81 -0.27 0.04
C 4.185206 -1.161375 -0.589375 0.57 1.01 1.38
C 4.929129 -2.319375 -0.712758 -1.14 -1.80 0.18
C 5.668314 -2.574430 -1.837963 1.29 -0.67 -0.01
C 5.870517 -1.564258 -2.747408 0.57 0.44 -1.00
C 5.219633 -0.354507 -2.589179 -1.03 0.33 -0.35
C 4.322445 -0.165803 -1.528516 0.41 1.32 -0.96
H 2.713627 -2.687868 0.516753 -0.13 0.41 0.35